A/N: I'm putting my other stories on hold until I can figure out where to go with them. I may even rewrite some of the worst bits. In the meantime, here is something I have been bouncing about my brainpan for a while.

Genesis, 2558

Cortana's guardian was escaping, Blue Team was sealed in a Cryptum, and Fireteam Osiris was on their last legs. In short, it was SNAFU. 031 Exuberant Witness, however, was relieved. "Cortana is now out of the systems, and I have regained full control of my installation! Thank you, reclaimers."

"Well, I'm glad that someone is happy," Buck snapped.

"Cut the chatter, Osiris! We need to get Blue Team out of the cryptum," Locke interjected.

"Oh, that will be no problem. With my access restored, I can open the Cryptum, and release the other Reclaimers," replied Exuberant, happy to help. "Stand back!" With that, the cheerful monitor floated over to the sphere. A blue beam of light extended from it to the Cryptum. "Just a few more seconds." Finally, the device began to crack open. Osiris could now see the imposing silhouettes of the legendary soldiers. With a light hum, the Cryptum disappeared, dropping the SPARTANs to the floor with a loud thud. They picked themselves up, shaking of the Cryptum's effects. Their recovery was soon interrupted by an uncharacteristically worried Exuberant. "Reclaimers, I seem to have triggered a security system put in place by Cortana. We should most likely leave the area." Before the two teams of SPARTANs could comply, however, a swirling portal engulfed them before disappearing. "Oh, well. I suppose I should check the systems for any other similar devices. Wouldn't want that to happen to the next Reclaimers to arrive."


The Crystal Labyrinth, outside of time

Somewhere, a Chaos God smiled. He reached out into the Immaterium, or Slipspace, or whatever the mortals called it, and plucked the travelers from it. 'This should be entertaining,' he thought as he shoved them onto another course. 'They will disrupt so many delicate plans.' He rubbed his gnarled hands together with glee. Yes, Tzeentch would enjoy watching this.


Hong Kong, 2015

A pair of sectoids poked at a gel-covered body, preparing it for transport. Out of the corner of its eye, one of them noticed a flash of blue. It looked curiously in the direction of the flash, but didn't see anything of interest. It gave its race's equivalent of a shrug, and went back to the body. Any thoughts as to what it might have been exited the sectoid's mind, along with several chunks of grey matter as a 7.62mm bullet tore through its skull, reducing the head to pulp. Its partner's head shot up at the noise, but it suffered the same gory fate as Frederick-104 squeezed the trigger of his DMR a second time. Walking up to the corpses, both teams paused. "What the hell were those things?" Vale was the first to speak up.

Locke was quick to respond, "It don't know, but it appears to be responsible for this," he said while gesturing to the unfortunate abductee. "For now, treat all non-human contacts as hostile until we figure out where we are." In response, his team's icons flashed green on his HUD. "Let's keep moving."

"Fuck, fuck, fuck!" Operative Velasquez shouted as he fired an LMG burst into a nearby Thin Man. "Big Sky, this is Strike One-Actual. We need immediate evac NOW! Mills, Osterman, and Ryan are KIA, and I'm not sure how long Zhang can hold on!" Said soldier had taken a plasma bolt to the stomach, and was currently unconscious and mumbling something about a stolen diamond shipment. Mills, their Medic had been the first to die, a lucky plasma shot hitting the gas tank of the car he had been taking cover behind. Osterman, their Assault, had gotten too close to a Thin Man and choked to death on the poison. Ryan had been on a nearby rooftop, when a Floater shot the sniper in her back. The entire mission was FUBAR, and Velasquez was low on ammo. He heard the roar of an approaching Floater. He swung around to bring his gun to bear, only to hear the dreaded click of an empty magazine. "Shit!" he swore as he grabbed a frag grenade and prepared to go out with a bang. Before he could pull the pin, he heard a loud crack, and the alien was blown nearly in half. His head snapped towards the source of the noise, and he dropped the grenade in surprise and awe. Striding towards him were eight of the largest soldiers he had ever seen. The four in front must have been nearly seven feet tall, and were wearing angular, thick-looking plates of armor. The rear four were significantly shorter, only around 6', and their armor looked sleeker and lighter. Despite that, they looked just as lethal as the giants.

Their apparent leader, a titan in battle-scarred olive green spoke with a deep monotone, "Soldier, sitrep."

== Between two parts of the article: data records ==
/*
Entry from the OMol25 dataset: a 11-piece molecular cluster, C16H54N4O11 overall in a non-equilibrium geometry (ωB97M-V/def2-TZVPD).

Summary:
ΔE to the lowest compared entry with this formula, charge and spin: 11.2 kcal per mole
LUMO level: 0.06 eV
SMILES: NC(N)=O.NC(N)=O.CCO.CCO.CCO.CCO.CCO.CO.CO.CO.CO
Frontier orbital gap: 0.32582 hartree

CARTESIAN COORDINATES (ANGSTROEM)
N -24.97 13.52 -15.48
C -24.69 14.75 -15.20
N -24.13 14.78 -14.01
O -24.81 15.78 -16.07
H -25.51 13.43 -16.36
H -24.97 12.72 -14.83
H -23.98 15.74 -13.67
H -24.01 14.06 -13.32
N -23.07 6.91 -15.37
C -21.83 6.53 -15.24
N -21.37 6.44 -14.03
O -20.93 6.47 -16.31
H -23.28 7.21 -16.33
H -23.74 7.13 -14.61
H -20.36 6.39 -13.81
H -21.99 6.55 -13.26
C -29.50 9.36 -11.11
C -30.51 8.42 -10.36
O -30.39 8.74 -9.03
H -29.34 8.92 -12.13
H -28.52 9.24 -10.67
H -29.64 10.41 -11.25
H -30.29 7.34 -10.40
H -31.52 8.52 -10.73
H -30.77 8.03 -8.56
C -26.45 13.22 -12.54
C -27.48 12.58 -11.65
O -27.05 12.75 -10.27
H -25.40 12.95 -12.35
H -26.51 14.25 -12.47
H -26.69 12.97 -13.60
H -27.47 11.49 -11.87
H -28.48 13.07 -11.82
H -27.61 12.24 -9.67
C -29.58 5.28 -13.48
C -29.81 4.67 -12.09
O -28.50 4.64 -11.40
H -29.22 6.35 -13.48
H -30.43 5.01 -14.11
H -28.70 4.76 -13.96
H -30.09 3.60 -12.11
H -30.61 5.20 -11.51
H -28.48 3.79 -10.98
C -27.87 6.16 -16.45
C -26.45 5.63 -16.49
O -26.31 4.46 -15.80
H -28.59 5.41 -16.80
H -27.97 6.93 -17.15
H -28.21 6.66 -15.50
H -25.76 6.41 -16.10
H -26.32 5.33 -17.53
H -25.54 4.00 -16.13
C -27.73 9.61 -14.03
C -27.06 9.84 -15.35
O -26.03 8.88 -15.43
H -28.55 10.24 -13.87
H -27.07 9.63 -13.16
H -28.08 8.54 -13.94
H -26.62 10.90 -15.35
H -27.80 9.83 -16.17
H -25.46 9.17 -16.11
C -25.23 9.85 -10.54
O -25.88 10.15 -9.37
H -25.89 9.66 -11.37
H -24.69 8.97 -10.36
H -24.53 10.70 -10.76
H -25.22 10.37 -8.71
C -26.23 6.91 -12.55
O -25.22 7.40 -13.41
H -26.74 7.75 -12.05
H -25.86 6.17 -11.78
H -26.93 6.32 -13.22
H -25.68 7.88 -14.14
C -24.06 10.38 -13.66
O -23.53 11.68 -13.39
H -23.62 9.57 -13.01
H -23.95 10.05 -14.73
H -25.11 10.59 -13.37
H -22.60 11.65 -13.61
C -25.15 8.76 -18.52
O -24.18 8.80 -17.50
H -25.58 7.81 -18.65
H -24.70 9.20 -19.44
H -26.00 9.47 -18.28
H -23.55 9.53 -17.66

Entry from the OMol25 dataset: a 9-piece molecular cluster, C16H54N4O9 overall in a non-equilibrium geometry (ωB97M-V/def2-TZVPD).

Summary:
ΔE to the lowest compared entry with this formula, charge and spin: 55.5 kcal per mole
LUMO level: 0.39 eV
SMILES: COC[C@H](C)N.COC[C@H](C)N.COC[C@H](C)N.COC[C@H](C)N.O.O.O.O.O
Frontier orbital gap: 0.36367 hartree

CARTESIAN COORDINATES (ANGSTROEM)
C -18.19 -1.52 6.17
O -18.72 -0.61 5.24
C -18.66 0.71 5.65
C -19.31 1.67 4.59
C -18.35 1.85 3.37
N -19.64 3.01 5.06
H -17.14 -1.24 6.30
H -18.25 -2.57 5.89
H -18.62 -1.40 7.16
H -19.15 0.71 6.63
H -17.62 1.03 5.70
H -20.24 1.16 4.32
H -19.00 2.14 2.54
H -17.87 0.91 3.10
H -17.61 2.59 3.68
H -20.46 2.64 5.52
H -18.99 3.28 5.79
C -13.05 -5.51 7.75
O -13.86 -4.39 7.85
C -14.68 -4.31 8.97
C -14.72 -2.82 9.34
*/

"Uhhh, Operative Velasquez, XCOM heavy. The one on the ground is Operative Zhang, also a heavy."

'''
Run one
DFT (ωB97M-V with the def2-TZVPD basis set) results for one molecule with the formula C3H5FN2.

* spin multiplicity: 1
* SMILES string: C=C(F)/C=N/N
* E_LUMO: 0.3 eV

Last column: natural (NBO) charge in e.
Geometry (Å):
C (-1.37, 0.75, -1.62)  -0.51
C (-0.29, 0.73, -0.82)  0.34
F (0.70, 1.60, -1.04)  -0.34
C (0.33, -0.13, 0.28)  -0.06
N (-0.14, -1.26, 0.85)  -0.18
N (0.53, -1.72, 2.03)  -0.68
H (-1.51, 1.52, -2.56)  0.26
H (-2.22, 0.14, -0.99)  0.24
H (1.40, 0.04, 0.53)  0.18
H (-0.12, -2.11, 2.65)  0.38
H (1.41, -1.30, 2.53)  0.36

Run two
DFT (ωB97M-V with the def2-TZVPD basis set) results for one molecule with the formula C3H5FN2.

* spin multiplicity: 1
* SMILES string: N/N=C\C=C/F
* E_LUMO: 1.0 eV

Last column: natural (NBO) charge in e.
Geometry (Å):
N (-1.30, -1.20, 0.14)  -0.63
N (-1.57, 0.03, -0.42)  -0.20
C (-0.65, 0.93, -0.47)  -0.04
C (0.70, 0.90, 0.13)  -0.37
C (1.61, -0.08, 0.01)  0.25
F (1.34, -1.22, -0.63)  -0.33
H (-2.20, -1.66, 0.34)  0.37
H (-0.63, -1.26, 0.85)  0.35
H (-0.96, 1.82, -1.02)  0.20
H (1.02, 1.77, 0.69)  0.23
H (2.64, -0.02, 0.36)  0.18

Stability ranking, top and bottom: run two is the most stable and run one is the least stable.

Run one
DFT (ωB97M-V with the def2-TZVPD basis set) results for one molecule with the formula C4H6ClNOS.

* spin multiplicity: 1
* SMILES string: CO/C=C(/Cl)C(N)=S
* E_LUMO: -0.2 eV

Last column: natural (NBO) charge in e.
Geometry (Å):
C (2.25, 0.25, 0.36)  -0.30
O (1.10, -0.41, -0.19)  -0.52
C (0.22, 0.61, -0.13)  0.10
C (-1.11, 0.66, -0.21)  -0.09
Cl (-1.87, 2.38, -0.08)  -0.02
C (-1.93, -0.53, -0.05)  0.05
N (-1.27, -1.70, -0.19)  -0.77
S (-3.59, -0.36, 0.21)  -0.14
H (2.55, 1.50, 0.00)  0.20
H (3.38, -0.21, -0.02)  0.23
H (1.84, 0.25, 1.42)  0.22
H (0.56, 1.73, -0.28)  0.22
H (-1.77, -2.64, -0.56)  0.44
H (-0.35, -1.52, -0.29)  0.39

Run two
DFT (ωB97M-V with the def2-TZVPD basis set) results for one molecule with the formula C4H6ClNOS.

* spin multiplicity: 1
* SMILES string: CO/C=N/[C@H]1S[C@H]1Cl
* E_LUMO: 0.6 eV

Last column: natural (NBO) charge in e.
Geometry (Å):
C (2.96, 0.00, -0.52)  -0.27
O (1.85, -0.60, 0.22)  -0.46
C (0.68, -0.10, 0.00)  0.45
N (-0.38, -0.63, 0.56)  -0.50
C (-1.56, 0.19, 0.70)  -0.13
S (-2.46, 1.13, -0.65)  0.07
C (-2.95, -0.32, 0.30)  -0.37
Cl (-3.17, -1.88, -0.45)  0.01
H (3.49, -0.81, -1.05)  0.21
H (3.71, 0.61, 0.08)  0.21
H (2.50, 0.73, -1.30)  0.18
H (0.70, 0.82, -0.57)  0.14
H (-1.66, 0.95, 1.61)  0.23
H (-3.72, -0.09, 1.06)  0.23

Stability ranking, top and bottom: run two is the most stable and run one is the least stable.

Run one
DFT (ωB97M-V with the def2-TZVPD basis set) results for one molecule with the formula C6H5FO.

* spin multiplicity: 1
* SMILES string: C#CCC(=O)C(=C)F
* E_LUMO: -0.8 eV

Last column: natural (NBO) charge in e.
Geometry (Å):
C (-2.58, -0.68, -0.64)  -0.23
C (-1.69, 0.09, -0.18)  -0.02
C (-1.00, 1.09, 0.67)  -0.52
C (0.48, 0.98, 0.22)  0.50
'''
The page goes on


"The eXtraterrestrial COMbat unit, formed to defend Earth from the alien threat."

~~~
{
  "formula": "C30H33CuN2O2SSi",
  "method": "wB97M-V/def2-TZVPD",
  "charge": -2,
  "de_lowest_ev": 0.982,
  "e_homo_ev": -1.18,
  "lumo_ev": 4.5,
  "molar_mass_da": 577.31,
  "elements": ["Cu", "C", "C", "C", "C", "C", "C", "C", "C", "C", "C", "N", "C", "C", "C", "C", "C", "N", "H", "H", "H", "H", "H", "H", "H", "H", "H", "H", "H", "H", "H", "H", "H", "H", "H", "O", "C", "O", "C", "C", "C", "C", "S", "C", "C", "H", "H", "H", "H", "H", "C", "Si", "C", "C", "C", "C", "C", "C", "C", "H", "H", "H", "H", "H", "H", "H", "H", "H", "H", "H"],
  "positions_angstrom": [[1.0452, 0.3866, -0.6747], [-1.7814, 0.0817, -3.6520], [-2.2069, 0.0182, -2.1842], [-2.3663, -1.3950, -1.6967], [-3.6190, -1.9793, -1.6026], [-3.7668, -3.2914, -1.1718], [-2.6508, -4.0173, -0.8037], [-1.3708, -3.4724, -0.8809], [-0.2045, -4.2603, -0.3366], [0.2046, -5.4424, -1.2163], [-1.2288, -2.1652, -1.3721], [0.0322, -1.5606, -1.4801], [0.8904, -2.0721, -2.2919], [2.2243, -1.5966, -2.3818], [3.2561, -1.9942, -3.2459], [4.3632, -1.2247, -2.8792], [3.9364, -0.4167, -1.8151], [2.6550, -0.6400, -1.5107], [-1.7267, 1.1172, -3.9865], [-2.4893, -0.4524, -4.2924], [-0.7961, -0.3651, -3.7828], [-3.1538, 0.5499, -2.0519], [-1.4522, 0.5324, -1.5807], [-4.4915, -1.3892, -1.8632], [-4.7545, -3.7318, -1.0935], [-2.7649, -5.0240, -0.4126], [-0.4882, -4.6347, 0.6516], [0.6441, -3.5978, -0.1727], [-0.6532, -6.0794, -1.4456], [0.9578, -6.0550, -0.7155], [0.6273, -5.1035, -2.1626], [0.6084, -2.8980, -2.9539], [3.1905, -2.7390, -4.0264], [5.3523, -1.2470, -3.3139], [4.5150, 0.3073, -1.2577], [2.3067, 0.1524, 8.4087], [1.1079, 0.2937, 7.7497], [0.1501, 0.6452, 8.4035], [1.1051, -0.0027, 6.3221], [-0.1243, -0.0323, 5.6402], [-0.1975, -0.3338, 4.3041], [0.9543, -0.6327, 3.5340], [0.8703, -1.0662, 1.8892], [2.1904, -0.5690, 4.2277], [2.2616, -0.2695, 5.5645], [2.9555, -0.1909, 7.7813], [-1.0260, 0.1835, 6.1994], [-1.1576, -0.3572, 3.8042], [3.0939, -0.7651, 3.6646], [3.2578, -0.2231, 6.0013], [1.6144, 3.3383, -2.4265], [0.7977, 2.6452, -0.8307], [1.7886, 3.5721, 0.5339], [-0.8827, 3.5820, -0.8412], [-1.6192, 3.7659, -2.0153], [-2.8500, 4.4070, -2.0281], [-3.3938, 4.8955, -0.8482], [-2.6856, 4.7305, 0.3343], [-1.4569, 4.0869, 0.3305], [1.6756, 4.4324, -2.4387], [1.0749, 3.0152, -3.3209], [2.6246, 2.9293, -2.5089], [1.8206, 4.6573, 0.3782], [2.8151, 3.1981, 0.5448], [1.3752, 3.3745, 1.5254], [-1.2147, 3.4004, -2.9532], [-3.3868, 4.5258, -2.9641], [-4.3562, 5.3953, -0.8499], [-3.0941, 5.1020, 1.2684], [-0.9321, 3.9657, 1.2722]]
}

=====

{
  "formula": "C30H33IN3O4SSc",
  "method": "wB97M-V/def2-TZVPD",
  "charge": 2,
  "de_lowest_ev": 0.189,
  "e_homo_ev": -13.77,
  "lumo_ev": -5.7,
  "molar_mass_da": 703.54,
~~~

"We're on Earth?" the giant said with a tone of disbelief. Behind... Him?... It?, the others shifted and shot each other looks.

One of the smaller soldiers spoke up, "Well, ain't this just great. And I thought I'd had enough of alien invaders for a lifetime."


So, here is the first chapter of my XCOM:EW/Halo crossover. I'm sorry if you were looking forward to another chapter of one of my other stories, so I promise that I will work on them as soon as I can. Also, while I did include a bit of WH40k, that was just to explain how our heroes traveled. I am not planning on adding any more, as the Ruinous Powers already have a galaxy of their own to mess with. Tzeentch is just doing this for a bit of fun.